As a NAMES assembly leader for the past two years, I was very pleased that Niles West recognized National Stand Up Week (November 17-23). This past week I saw students participating in the anti-bullying activities held outside the cafeteria. The activities included putting teardrops on silhouettes hanging up outside the student commons, and putting Band-Aids over the tears with things that people wish someone said to them when they were being bullied. Also, the student body was in a sea of blue shirts on Wednesday.
Being in my senior year at West, I was sure we had never done anything like this before. It was refreshing to see so many participating in these activities. I am also a freshmen homeroom mentor, and the number one thing that the girls in my homeroom said after the NAMES assembly this year was that they wished we did more events like the assembly throughout their high school. Recognition of Stand Up week could be the first step in achieving that goal.
Although our recognition of Stand Up week was impressive for its first year, I still think there’s more we need to do. The issue I had with how Stand Up week was addressed this year, was that there wasn’t much light put onto what we need to do in the future. After this week ends, will people take off the blue wristbands and shirts and tuck them away until they’re asked to bring them out again next year?
The page is interrupted by quantum chemistry results =
-- begin --
(1)
Below is an isolated molecule of C18H18F2N4O3, with properties calculated with ωB97M-V/def2-TZVPD.

Each line ends with the Mulliken charge.
Positions of all 45 atoms, in Å:
C: -2.545 -2.225 -4.533  -1.138
C: -3.029 -1.814 -3.188  0.392
N: -3.821 -2.594 -2.475  -1.032
N: -4.078 -1.928 -1.347  0.365
C: -3.474 -0.719 -1.306  -0.188
C: -2.775 -0.606 -2.495  1.378
C: -1.928 0.542 -2.939  -1.640
N: -0.639 0.572 -2.254  0.128
C: -0.435 1.512 -1.317  0.704
O: -1.289 2.334 -1.010  -0.714
C: 0.872 1.576 -0.606  0.588
N: 2.038 1.171 -1.047  -0.648
O: 2.964 1.505 -0.123  -0.177
C: 2.362 2.134 0.904  0.398
C: 1.024 2.213 0.656  -0.376
H: 0.252 2.650 1.251  0.510
C: 3.201 2.588 2.056  -0.981
O: 2.705 2.138 3.299  -0.441
C: 2.751 0.810 3.590  0.465
C: 2.209 0.455 4.826  -0.483
C: 2.212 -0.863 5.228  0.322
C: 2.751 -1.848 4.408  0.302
C: 3.288 -1.499 3.185  -0.689
C: 3.291 -0.178 2.771  -0.375
H: 3.720 0.056 1.811  0.470
H: 3.704 -2.271 2.557  0.412
F: 2.753 -3.136 4.797  -0.306
F: 1.687 -1.186 6.420  -0.311
H: 1.792 1.216 5.464  0.457
H: 3.167 3.680 2.129  0.405
H: 4.240 2.273 1.897  0.415
C: 0.271 -0.477 -2.635  -0.867
H: -0.206 -1.447 -2.469  0.262
H: 0.513 -0.383 -3.696  0.265
H: 1.191 -0.414 -2.065  0.470
H: -2.428 1.488 -2.721  0.504
H: -1.740 0.470 -4.014  0.446
C: -3.624 0.207 -0.157  -1.371
H: -3.074 1.125 -0.341  0.287
H: -4.675 0.451 0.000  0.375
H: -3.243 -0.251 0.756  0.321
H: -4.675 -2.338 -0.648  0.191
H: -1.459 -2.314 -4.548  0.218
H: -2.981 -3.186 -4.786  0.364
H: -2.839 -1.492 -5.283  0.323

Computed properties:
- Orbital gap: 9.5 eV
- Relative energy (zero: lowest compared OMol25 entry of this formula, charge and spin): 0.2366 eV
- 2S+1: 1

(2)
Below is a structure of composition C55H77N6O3ReSSi, with properties calculated with ωB97M-V/def2-TZVPD.

Each line ends with the Löwdin spin population.
Positions of all 144 atoms, in Å:
Re: 0.611 -0.717 -0.907  2.337
C: 0.777 -5.186 -5.384  0.001
C: -0.151 -3.972 -5.495  0.002
C: 0.315 -2.825 -4.658  0.011
C: 1.000 -1.719 -5.054  0.001
C: 1.475 -1.355 -6.425  0.000
C: 2.926 -1.779 -6.672  0.000
C: 1.297 -0.956 -3.862  0.019
C: 2.067 0.208 -3.830  0.001
C: 2.599 0.767 -2.681  0.023
C: 3.679 1.728 -2.636  -0.007
C: 4.312 2.341 -3.845  -0.001
C: 5.315 1.409 -4.531  -0.001
C: 4.045 1.853 -1.332  0.016
C: 3.177 1.009 -0.545  -0.007
C: 3.293 0.722 0.773  0.029
C: 2.416 -0.092 1.517  -0.005
N: 1.152 -0.454 1.034  0.024
C: 0.517 -1.062 2.087  0.068
C: -0.899 -1.486 1.962  0.011
C: -1.052 -2.526 0.909  0.036
N: -0.498 -2.347 -0.329  0.049
C: -0.832 -3.476 -1.073  0.004
C: -0.544 -3.610 -2.446  -0.009
C: 0.146 -2.744 -3.225  0.005
N: 0.784 -1.581 -2.766  0.044
C: -1.595 -4.339 -0.286  0.043
C: -1.726 -3.733 0.981  0.016
C: -2.498 -4.250 2.156  0.001
C: -3.901 -3.644 2.241  0.001
C: -2.135 -5.676 -0.683  0.006
C: -1.181 -6.815 -0.314  0.004
C: 1.370 -1.229 3.163  0.001
C: 2.568 -0.549 2.825  0.064
C: 3.806 -0.308 3.643  0.010
C: 3.619 -0.266 5.157  0.001
C: 1.106 -2.200 4.290  -0.002
-- stop --
I did notice throughout the week that although we dressed up in blue and participated in the activities that were held, no one discussed the issues that go on with bullying. Assistant principal Kendall Griffin, was heard over the PA system throughout this week talking about bullying and how we shouldn’t mistreat people, but the messages weren’t carried on through the students throughout the day. In the hallway I heard a girl say to a peer, “When this week is over I’m going to go back to bullying you, just wait and see!” Whether she was joking or not, the fact that this week’s events could all be brushed under the rug bothered me.
Bullying is an issue that is very serious and should be taken very seriously. In an article from earlier this week by Rand Jasser, guidance counselor and peer mediation sponsor Yvonne Miller was quoted that about 555 students (or 21%) reported they were bullied or marginalized last year at Niles West. In order for this number to decrease, I feel that we need to step up our game with Stand Up week. Do I, as well as many other students, greatly appreciate the events from Stand Up week? Yes. Do I think we can do more? Again, yes.
There are a few ways I feel Stand Up week should be changed in order to be more beneficial in years to come. The first way is to talk about how to recognize bullying. A common reason that bullies act the way that they do is for the sheer reason that they don’t realize they are acting like bullies because s0me may view their actions as a “joke” and that they’re just “kidding around”. If the school were to discuss specific situations of bullying, then people may be able to identify their behavior and change it. A second way would be to specifically show students who they should talk to if issues of bullying arise and where these people are located. Peer mediators and school social workers are the best people to go to during the school day to talk to. My last suggestion would be to have further discussions in class about bullying during Stand Up week. Talking about bullying shouldn’t just be involving the students, but the teachers and other staff members as well.
Some words of advice to my fellow classmates: don’t be afraid to discuss bullying. Whether it is with teachers, administrators, parents, or friends, you should not be afraid to speak up. Just remember that Niles West is a safe environment with many places you can go to talk to people who are willing to listen and help. So here’s to the future, in hopes of decreasing the percentage of people feeling bullied in our school and increasing the awareness around keeping our school a bully free zone.
Sharon - Peer Mediation Co-President • Nov 23, 2013 at 12:57 PM
Hi! I just wanted to say that while I agree Stand Up Week can improve, workshops were held on Friday during 2nd, 5th, and 8th period that students signed up for the previous day when Peer Mediators visited those study hall periods. In those workshops, we did an activity where we marked spots on a map of a school where we witnessed bullying and another activity where we discussed practical ways to respond in different scenarios. This addressed what to do in the future. I see though that only a portion of the school population had a study hall during those sign-up times, plus the cap was 15 people per period, so we could find more avenues for people to discuss. I know in my freshmen homeroom, they did discuss whatever the question of the day was, but I don’t know how many other homerooms took it seriously. I’m positive though coming out of this week that there are less people in the school, even if by a minuscule amount, who’d say things like that girl you quoted. But thank you for your article; it definitely helps Peer Mediation in planning for more awareness.